Out of practice drivers about being warned about the theory rules they may have overlooked in lockdown.
The motoring experts at LeaseCar.uk have compiled the most forgotten about theoretical rules of the road.
Since it was introduced in 1996, the theory test has been the preface to every person’s practical test. Learners are expected to understand the rules of the road and sit an exam answering multiple-choice questions, scenarios, and online hazard perception exercises.
The test teaches drivers how to be safe and look out for potential hazards on the road. However, those that have been out and about on the roads for a few years can also benefit from scrubbing up on the theoretical side of driving.
Road users are being reminded to keep their documents to hand, only use the horn when necessary and are being given a stopping distance refresher.
A spokesperson for LeaseCar.uk said: “Most of us have been using the roads a lot less because of lockdown. We are encouraging everyone to look over their driving theory knowledge before getting back out there in busy traffic.
“Learners are facing long wait times for their practical tests too, so those who have already passed their theory should be prepared to refresh their knowledge before practical tests can resume in April.
Someone pasted crystal structures at this point:
- - -
The following is a DFT calculation (PBE) of a relaxed Dy3Cd2Co crystal.

Lattice parameters (Å, degrees): 5.178 7.055 8.522 90.00 107.78 90.00
Positions (direct):
Dy1 0.032 0.250 0.000
Dy2 0.373 0.000 0.745
Dy3 0.373 0.500 0.745
Dy4 0.627 0.000 0.255
Dy5 0.627 0.500 0.255
Dy6 0.968 0.750 0.000
Cd1 0.198 0.250 0.397
Cd2 0.199 0.750 0.397
Cd3 0.801 0.250 0.603
Cd4 0.802 0.750 0.603
Co1 0.467 0.750 0.000
Co2 0.533 0.250 0.000

=====

The following is a DFT calculation (PBE) of a relaxed Dy11Cd9Co4 crystal.

Lattice parameters (Å, degrees): 12.999 12.999 3.575 90.00 90.00 112.54
Positions (direct):
Dy1 0.000 0.000 0.000
Dy2 0.088 0.419 0.000
Dy3 0.160 0.840 0.000
Dy4 0.312 0.312 0.000
Dy5 0.373 0.627 0.000
Dy6 0.419 0.088 0.000
Dy7 0.581 0.912 0.000
Dy8 0.627 0.373 0.000
Dy9 0.688 0.688 0.000
Dy10 0.840 0.160 0.000
Dy11 0.912 0.581 0.000
Cd1 0.078 0.218 0.500
Cd2 0.156 0.634 0.500
Cd3 0.218 0.078 0.500
Cd4 0.366 0.844 0.500
Cd5 0.500 0.500 0.500
Cd6 0.634 0.156 0.500
Cd7 0.782 0.922 0.500
Cd8 0.844 0.366 0.500
Cd9 0.922 0.782 0.500
Co1 0.255 0.454 0.500
Co2 0.454 0.255 0.500
Co3 0.546 0.745 0.500
Co4 0.745 0.546 0.500

=====

The following is a DFT calculation (PBE) of a relaxed Dy5Cd2Co2 crystal.

Lattice parameters (Å, degrees): 8.990 8.990 7.355 90.00 90.00 47.38
Positions (direct):
Dy1 0.000 0.000 0.000
Dy2 0.068 0.696 0.685
Dy3 0.196 0.568 0.185
Dy4 0.304 0.932 0.685
Dy5 0.432 0.804 0.185
Dy6 0.500 0.500 0.500
Dy7 0.568 0.196 0.815
Dy8 0.696 0.068 0.315
Dy9 0.804 0.432 0.815
Dy10 0.932 0.304 0.315
Cd1 0.225 0.225 0.000
Cd2 0.275 0.275 0.500
Cd3 0.725 0.725 0.500
Cd4 0.775 0.775 0.000
Co1 0.108 0.892 0.388
Co2 0.392 0.608 0.888
Co3 0.608 0.392 0.112
Co4 0.892 0.108 0.612

=====

The following is a DFT calculation (PBE) of a relaxed Dy6CdCo crystal.

Lattice parameters (Å, degrees): 6.767 6.807 7.315 90.33 117.11 119.78
Positions (direct):
Dy1 0.053 0.089 0.261
Dy2 0.297 0.708 0.260
Dy3 0.324 0.534 0.740
Dy4 0.676 0.466 0.260
Dy5 0.703 0.292 0.740
Dy6 0.947 0.911 0.739
Cd1 0.500 0.000 0.000
Co1 0.500 0.500 0.500

=====

Respective energy relative to the elements values: -21.9; -28.5; -21.6; 6.5 kJ/mol of atoms.
- - -
“It doesn’t matter if you are out and about almost every day, or if you haven’t driven for a while, a refresher of the rules of the road is always worth it.”
Theory rules that are easily forgotten:

- Documents
## The article is interrupted by data records
~~~
# CaAcLaLu

A relaxed CaAcLaLu crystal (PBE, Alexandria via LeMat-Bulk).

**Space-group type**: F-43m
**Crystal system**: cubic
**ΔH_f (0 K)**: 8.4 kJ/mol of atoms
**N(E_F)**: 1.3121 states/eV per atom

The structure in CIF format:
```
data_CaAcLaLu
_cell_length_a 5.977
_cell_length_b 5.977
_cell_length_c 5.977
_cell_angle_alpha 60.00
_cell_angle_beta 60.00
_cell_angle_gamma 60.00
_space_group_name_H-M_alt 'P 1'
_space_group_IT_number 1
_space_group_name_Hall 'P 1'
loop_
_atom_site_label
_atom_site_type_symbol
_atom_site_fract_x
_atom_site_fract_y
_atom_site_fract_z
Ca1 Ca 0.000 0.000 0.000
Ac1 Ac 0.250 0.250 0.250
La1 La 0.750 0.750 0.750
Lu1 Lu 0.500 0.500 0.500
```

---

# NaCaAcLa

A relaxed NaCaAcLa crystal (PBE, Alexandria via LeMat-Bulk).

**Space-group type**: F-43m
**Crystal system**: cubic
**ΔH_f (0 K)**: 22.9 kJ/mol of atoms
**N(E_F)**: 1.3586 states/eV per atom

The structure in CIF format:
```
data_NaCaAcLa
_cell_length_a 6.106
_cell_length_b 6.106
_cell_length_c 6.106
_cell_angle_alpha 60.00
_cell_angle_beta 60.00
_cell_angle_gamma 60.00
_space_group_name_H-M_alt 'P 1'
_space_group_IT_number 1
_space_group_name_Hall 'P 1'
loop_
_atom_site_label
_atom_site_type_symbol
_atom_site_fract_x
_atom_site_fract_y
_atom_site_fract_z
Na1 Na 0.000 0.000 0.000
Ca1 Ca 0.250 0.250 0.250
Ac1 Ac 0.500 0.500 0.500
La1 La 0.750 0.750 0.750
```

---

# CaAc5La2Nd

A relaxed CaAc5La2Nd crystal (PBE, Alexandria via LeMat-Bulk).

**Space-group type**: I4/mcm
**Crystal system**: tetragonal
**ΔH_f (0 K)**: 22.9 kJ/mol of atoms
**N(E_F)**: 1.5603 states/eV per atom

The structure in CIF format:
```
data_CaAc5La2Nd
_cell_length_a 11.916
_cell_length_b 11.916
_cell_length_c 11.916
_cell_angle_alpha 137.40
_cell_angle_beta 137.40
_cell_angle_gamma 61.83
_space_group_name_H-M_alt 'P 1'
_space_group_IT_number 1
_space_group_name_Hall 'P 1'
loop_
_atom_site_label
_atom_site_type_symbol
_atom_site_fract_x
_atom_site_fract_y
_atom_site_fract_z
Ca1 Ca 0.250 0.750 0.500
Ca2 Ca 0.750 0.250 0.500
Ac1 Ac 0.000 0.000 0.000
Ac2 Ac 0.093 0.593 0.961
Ac3 Ac 0.132 0.093 0.500
Ac4 Ac 0.368 0.868 0.961
Ac5 Ac 0.407 0.368 0.500
Ac6 Ac 0.500 0.500 0.000
Ac7 Ac 0.593 0.632 0.500
Ac8 Ac 0.632 0.132 0.039
Ac9 Ac 0.868 0.907 0.500
Ac10 Ac 0.907 0.407 0.039
La1 La 0.120 0.380 0.500
La2 La 0.380 0.880 0.261
La3 La 0.620 0.120 0.739
La4 La 0.880 0.620 0.500
Nd1 Nd 0.250 0.250 0.000
Nd2 Nd 0.750 0.750 0.000
```

---

# Ca2Ac6La3Nd

A relaxed Ca2Ac6La3Nd crystal (PBE, Alexandria via LeMat-Bulk).

**Space-group type**: C2/m
**Crystal system**: monoclinic
**ΔH_f (0 K)**: 2.9 kJ/mol of atoms
**N(E_F)**: 1.5806 states/eV per atom

The structure in CIF format:
```
data_Ca2Ac6La3Nd
_cell_length_a 6.765
_cell_length_b 6.765
_cell_length_c 12.774
_cell_angle_alpha 95.06
_cell_angle_beta 95.06
_cell_angle_gamma 120.07
_space_group_name_H-M_alt 'P 1'
_space_group_IT_number 1
_space_group_name_Hall 'P 1'
loop_
_atom_site_label
_atom_site_type_symbol
_atom_site_fract_x
_atom_site_fract_y
~~~
Drivers should keep their driving license, proof of insurance and MOT certificate to hand when behind the wheel. They will be required by the police if the vehicle is involved in an accident, if they are not on the driver’s person, they may be asked to take them to a police station within seven days. It is best practice to keep a copy of each in a safe place in the car, for example, the glove box or boot, so the details are always to hand. In the unfortunate event of a collision, drivers should make sure they attain the name of the other driver involved, their address and telephone number, the make and registration number of their vehicle, who it belongs to and details of their insurance company.
- Learners
The cancellation of instructor-led driving lessons across the country due to Covid has got many learners looking to family and friends for practice. A lot of responsibility lands on the shoulders of someone supervising a learner and they are expected to follow the law as if they were the driver, for example, they must be sober and not using a mobile phone. To supervise a learner, drivers must have held their full licence for three years or more, be at least 21 years old and be qualified to drive the type of vehicle they are supervising in.
- Horn
The rules surrounding honking a car’s horn seem to be the most disobeyed road law. Drivers should only use them while the vehicle is moving because they need to alert or warn other road users of their presence. It is also illegal to use a horn on a moving vehicle on a restricted road between 1:30 p.m. and 07:00 a.m. A restricted road is anywhere with streetlights and a 30-mph speed limit. Drivers are not allowed to sound their horn in aggression, regardless of the situation.
- Road signs
There are hundreds of different road signs, each with its own meaning. Learners hoping to sit their theory will be cramming in content from the Highway Code to understand what they all mean, but it will not harm experienced drivers to do the same. Generally, signs set in triangles give warnings, those in circles give orders and information is given on rectangular signs. Road markings painted on the surface of the road also serve the same purpose as signs and should be understood by road users too.
- Stopping distances
Someone pasted data records at this point:
~~~
# Li4ReN4 | the Alexandria database | GGA-PBE | optimized geometry
data_Li4ReN4
_chemical_formula_sum 'Li16 Re4 N16'
_cell_length_a 8.271
_cell_length_b 8.015
_cell_length_c 6.187
_cell_angle_alpha 90.00
_cell_angle_beta 90.00
_cell_angle_gamma 90.00
_symmetry_space_group_name_H-M 'C m c m'
_symmetry_Int_Tables_number 63
_symmetry_space_group_name_Hall '-C 2c 2'
loop_
_atom_site_label
_atom_site_fract_x
_atom_site_fract_y
_atom_site_fract_z
Li1 0.147 0.220 0.250
Li2 0.155 0.500 0.000
Re1 0.000 0.170 0.750
N1 0.000 0.299 0.508
N2 0.187 0.045 0.750
# - D(E_F) (states/eV per atom) = 0.369
# - crystal system = orthorhombic
# - volume (Å³ per cell) = 410.1
# - raw formation energy (kcal/mol of atoms) = -9.359

---

# CaInCo | the Alexandria database | GGA-PBE | optimized geometry
data_CaInCo
_chemical_formula_sum 'Ca1 In1 Co1'
_cell_length_a 4.4984
_cell_length_b 4.4984
_cell_length_c 3.8970
_cell_angle_alpha 90.00
_cell_angle_beta 90.00
_cell_angle_gamma 120.00
_symmetry_space_group_name_H-M 'P -6 m 2'
_symmetry_Int_Tables_number 187
_symmetry_space_group_name_Hall 'P -6 2'
loop_
_atom_site_label
_atom_site_fract_x
_atom_site_fract_y
_atom_site_fract_z
Ca1 0.0000 0.0000 0.0000
In1 0.3333 0.6667 0.5000
Co1 0.6667 0.3333 0.5000
# - D(E_F) (states/eV per atom) = 1.283
# - crystal system = hexagonal
# - volume (Å³ per cell) = 68.3
# - formation energy from the elements (eV per atom) = 0.056

---

# AlInBi | the Alexandria database | GGA-PBE | optimized geometry
data_AlInBi
_chemical_formula_sum 'Al2 In2 Bi2'
_cell_length_a 3.355
_cell_length_b 5.889
_cell_length_c 8.609
_cell_angle_alpha 74.99
_cell_angle_beta 79.24
_cell_angle_gamma 89.96
_symmetry_space_group_name_H-M 'P -1'
_symmetry_Int_Tables_number 2
_symmetry_space_group_name_Hall '-P 1'
loop_
_atom_site_label
_atom_site_fract_x
_atom_site_fract_y
_atom_site_fract_z
Al1 0.250 0.188 0.499
In1 0.077 0.810 0.854
Bi1 0.370 0.646 0.247
# - energy above the most stable polymorph in this dataset (eV per atom) = 0.003
# - D(E_F) (states/eV per atom) = 0.293
# - crystal system = triclinic
# - volume (Å³ per cell) = 161.2
# - formation energy from the elements (eV per atom) = 0.114

---

no.,total energy (eV/atom)
1,-6.3397
2,-3.8923
3,-3.3404
~~~
Drivers who sat their theory test many moons ago will remember the agony of trying to learn each individual speed’s stopping distance. Stopping (or breaking) distances are how long it takes a vehicle to come to a complete stop after the driver has seen a potential hazard, from thinking to applying the brakes to coming to a complete halt. The distances have not changed but it is worth a brush-up, as they are still as important as ever.
20mph – 12m stopping distance in total.
30 mph –23m stopping distance in total.
40 mph –36m stopping distance in total.
50 mph –53m stopping distance in total.
60 mph –73m stopping distance in total.
70 mph –96m stopping distance in total.
- Vehicle checks
Regular checks to a vehicle are essential and required in law. These checks can include oil levels, outside light luminosity, and seat belt reliability. However, tyres and wheels are one of the most important parts of the vehicle to check, as they are your only contact with the road. Under-inflated tyres can lead to poor braking, increased fuel consumption and heavy steering. Worn and damaged tyres make a vehicle unroadworthy, they should have a tread depth of at least 1.6 mm and have no cracks or cuts on the surface.